The Rulebook Dilemma

By Mohanjit Jolly

  • 18 May 2010

My kids like playing a game called “red light, green light”. It’s a variation of a US game called “Simon says” where participants have to follow directions precisely. Green light means “go or walk fast”, red light means “stop” and yellow light means “move forward slowly”. The idea is to have the leader fool the other participants into making a mistake and being disqualified.

I recently returned from a US trip and on my way noticed that the taxi driver didn’t care to stop at any of the red stop lights. I finally asked him as I got home why he didn’t stop at the red lights. His response, interestingly enough, was that he was afraid of being rear ended if he stopped at a red light (since the guy behind him wouldn’t). I think that conversation brought to the forefront a key dilemma that my wife and I face constantly. Do we teach the kids to follow rules, or simply understand them and bend or break them as and when necessary, the latter, I feel, being normal practice in India. I am considering telling the kids that when they play “red light, green light”, they should do what they think is best for them, rather than go by the book. The point is that India is going through and will continue to go through an unprecedented era of growth and phenomenal change. But one piece that is the hardest to change is “mindset”. Getting everyone to understand that Red means “stop”, even if there is no traffic around you is a foreign concept that will take time to be internalized by everyone, or perhaps will never fully be internalized. And I am using the red light example purely as a metaphor.

Recently I was at an IBM event where the traffic commissioner of Bangalore (who, by the way was extremely articulate) was commenting that several groups from abroad who are expert in traffic systems have visited him trying to offer advice and best practices. The visitors often focused on the idea of making sure that there is lane discipline. But the commissioner’s question to the audience was “how do you define a lane in India”. His point simply was that the concept of a lane is well understood where the traffic is simple four wheelers or trucks, but in India with the amalgamation of everything from a rogue cow to two, three, and four wheelers, horse/donkey driven carriages and everything else pulled by either man, animal or machine, the idea of a lane is difficult to clearly define.

What comes next are data records, not part of the entry.
********
[1]
********

As I pondered the dilemma of what’s right, what’s wrong, what rules need to be followed, and what rules are simply suggestions that can be bent or broken depending upon a particular situation. I also thought about what behavior is taught/learnt versus what is driven by one’s surroundings. For example, the same person who throws trash on the road, and breaks every single traffic rule in India will be the most obedient and law-abiding citizen in the US or Europe. Why is that the case? I think the answer lies in two very critical phrases: “social acceptance” and “consequences and enforcement”. The social acceptance of continuously breaking rules in India further reinforces perhaps not that the behavior is right, but at least “the behavior is not wrong” (implying that since everyone else is doing it, it’s acceptable). In the US, it is socially unacceptable to throw trash on the floor (generally) or relieve oneself by the roadside. And there is a clear understanding of the consequence, and strict enforcement of that consequence if the rules are broken. In India, neither exists. I can just imagine some of the readers jumping up and down trying to defend the typical behavior in India, whether it is on the roads, in a queue (or understanding the concept of a queue) or whatever. The key defense that I have heard is two-fold – you cannot afford to obey rules in India; and it’s through sheer necessity that rules need to be bent or broken, implying that if rules are not bent or broken, that progress will actually be hampered. That line of defense then further implies that the only rule in India is “that there are no rules”, or that creation, following and enforcement of rules (or break thereof) is an exercise in futility.

As I worried about how to bring up my kids and tell them what’s right and what’s wrong, I thought of another incident which provided yet additional color to the dilemma. Recently the family was in Hong Kong on vacation, about to board a tram to Victoria’s Peak, one of the several tourist traps in HK. There was indeed a queue to board the tram, and the wait was about 30 minutes. Interestingly enough, there were primarily Indian and Chinese in line, and I could clearly feel in people’s body language that they were going to pretend to be Usain Bolt as and when the doors opened. Parents were gripping their kids more tightly, sweat was trickling down their brows, and everyone was jockeying for position waiting for that slight opening of the tram door. As expected, when the doors opened, there was a mad rush (reminded me of watching images of the escape from Saigon during the Vietnam War). What was even more amazing was seeing my kids, especially the nine year old, not get phased by the chaos. Instead, she was right in the thick of it pushing and shoving with her younger sister in tow and grabbed a prime seat. I was partly in shock, partly in awe with a hint of disappointment with the behavior. My ultra sensitive girl has pulled a judo maneuver with complete strangers in the tram queue. I also realized that if she hadn’t done that, we would be waiting for the next tram or perhaps the one after. But this was not behavior that my wife or I had taught or encouraged her to undertake, but an automatic response to the situation that she must have gotten accustomed to either at school, the playground or through observation elsewhere in India.

For entrepreneurs doing business in India, a significant dilemma is how to circumvent the various written and unwritten rules that exist. The examples are around the corrupt practices that exist up and down the chain of command in virtually every aspect of business -- from real estate, electricity, import/export, various licenses and list goes on and on. The rules are bent or broken by bureaucrats, not the entrepreneurs. But by being forced to give into the corrupt practices, in effect, the entrepreneurs also become accomplices in the breach of law. By the way, there exists an entire industry of “consultants” who take care of the dirty business of payments to various officials, and somehow businesses and entrepreneurs themselves are shielded. Let me give another example. Recently one of our portfolio company CEO got a call from a gentleman who was a retired IAS officer but an employee of a competitor, asking to visit the portfolio company’s facility. The CEO rightfully denied the request indicating that the individual was employed with a competitor. Amazingly enough, the CEO received calls from the Secretary, Additional Secretary and others within that state’s ministry instructing him to allow access to the competitors’ employee. The CEO had no choice but to give him or suffer significant disruption and further threats. As it is, odds are against startups succeeding in a normal environment. But in India, especially in a category or sector that requires approvals or constant contact and support from the government or bureaucrats, the challenge is significantly magnified. So, the only way to counter the above is perhaps by hiring some of your own retired bureaucrats. But at what point do businesses compete not on the basis of who you know, but on the basis of real differentiation around team, technology etc.. Perhaps I am nave and the definition of competitive differentiation in India actually involves the right rolodex, especially in government.

• Attached: quantum chemistry results:
Entry 1:
The following is a quantum chemistry calculation of C52H51N3PPdS as an isolated structure in a non-equilibrium geometry, from OMol25.

```
109
Properties=species:S:1:pos:R:3:forces:R:3:mulliken_charge:R:1
Pd -0.2519 -1.3095 0.5484 0.90 -1.09 -0.05 -0.871
S -3.1457 1.6425 -0.9847 -0.12 0.15 -0.29 -0.275
P -0.8012 -0.8599 2.6302 -0.17 0.34 0.17 2.445
N 0.0879 -1.4402 -1.5542 -0.08 0.07 -0.01 -0.076
N -2.7509 0.4975 0.0239 -0.34 0.38 0.69 -0.116
N 1.8450 -0.7435 0.3519 -0.26 0.36 -0.09 0.534
C 0.6598 4.1316 -1.0806 0.00 -0.02 0.00 -0.992
C 6.9301 -0.5059 0.9084 0.01 0.01 0.01 -2.051
C -1.6907 2.6934 -0.9787 0.16 -0.20 -0.12 0.749
C -2.1220 -3.4882 -0.2412 0.17 -0.04 -0.02 -0.076
C -1.7422 4.0533 -1.2479 -0.05 0.06 0.04 -0.646
C -5.9833 4.4816 -0.3467 -0.09 0.09 0.00 -0.395
C -4.1731 -2.5541 4.2521 -0.02 -0.04 -0.05 -1.035
C -4.5408 -3.3569 3.2004 0.00 0.03 0.04 -0.740
C 2.3478 -0.9450 -0.8837 0.02 -0.07 0.02 -0.185
C -1.3388 0.8996 2.5332 0.06 0.21 0.12 0.381
C 0.6932 2.7632 -0.8373 -0.01 0.01 -0.01 -0.573
C 1.1218 -2.1008 4.0863 0.00 0.02 0.01 -0.640
C 1.0605 -0.3253 6.2284 0.03 -0.02 -0.01 -0.753
C -2.6624 -2.5567 1.8841 0.06 0.02 -0.02 1.015
C 2.0390 -2.3673 -6.0512 0.01 -0.01 -0.01 -1.528
C 6.1107 -0.6517 -0.3734 0.01 -0.01 0.01 1.830
C 4.6176 -0.6805 -0.0894 -0.01 0.02 0.00 0.400
C -4.2796 2.8098 -0.1729 -0.01 -0.09 0.02 -0.143
C 6.5179 -1.9545 -1.0786 0.01 -0.01 0.00 -1.592
C -3.0266 -1.7441 4.1543 0.00 0.00 -0.03 -0.192
C -0.8574 -1.5584 -2.4897 0.02 -0.08 0.02 -0.869
C -2.1563 3.6138 2.0686 0.11 0.03 0.03 -0.941
C 0.7012 -1.2616 -4.2887 0.00 -0.01 0.03 0.416
C 1.6734 -1.1049 -3.2987 -0.03 0.01 0.00 -0.628
C -0.4595 1.9619 2.4629 0.10 -0.26 0.18 0.187
C 0.3070 -0.9658 4.0337 0.04 -0.10 0.04 1.056
C 6.3988 0.5458 -1.2929 0.00 0.00 -0.01 -1.533
C -5.3953 3.7564 1.8356 -0.08 0.05 -0.06 -0.598
C 4.0729 -0.4652 1.1731 0.00 -0.02 -0.02 -0.746
C -0.5543 4.7719 -1.2858 0.00 0.02 0.01 -0.677
C 1.8024 0.1334 -6.0343 0.00 0.01 -0.01 -1.568
C 0.2785 -0.0797 5.1103 -0.01 0.06 -0.01 -0.415
C -0.1326 -1.3046 -6.6712 -0.01 0.00 -0.01 -2.078
C -3.7911 -3.3993 2.0011 -0.02 -0.06 -0.05 0.615
C 1.8972 -2.3426 5.2078 0.01 0.01 0.00 -0.792
C -2.3120 -1.7427 2.9808 0.02 -0.03 0.21 -0.400
C -0.8548 3.3117 2.2270 -0.18 0.10 0.07 -1.226
C 3.7088 -0.9231 -1.1220 -0.01 0.00 0.03 -0.588
C 1.8648 -1.4564 6.2774 0.00 0.02 0.00 -0.573
C -3.2493 -4.3439 -0.1379 -0.04 -0.04 0.02 -1.052
C -2.6857 1.1707 2.2935 -0.01 -0.22 -0.82 -1.861
C -1.8198 -2.5658 0.7268 -0.54 0.29 -0.21 -0.949
C -0.5994 -1.4806 -3.8441 0.01 0.00 0.01 -1.208
C -4.0852 -4.2896 0.9374 0.04 0.05 0.02 -0.989
C -0.4848 2.0322 -0.7933 -0.03 0.02 0.02 0.597
C 1.3498 -1.1887 -1.9581 0.04 0.08 -0.01 -0.080
C 2.7029 -0.5102 1.3471 0.01 0.01 -0.02 -0.859
C -3.1917 2.5557 2.1901 -0.12 0.09 0.10 0.705
C 1.0868 -1.1969 -5.7566 -0.01 0.00 -0.01 1.850
C -6.1275 4.5878 1.0472 0.08 -0.12 0.00 -1.004
C -5.0867 3.5850 -0.9515 0.10 -0.02 -0.01 -0.238
C -4.4574 2.7518 1.2861 0.00 0.09 0.22 0.765
• The quantum chemistry results stop here:

I am guessing that most people would be split on the definition of rules and the thought that in India, just like any developed country, those rules need to be followed. Those in favor would say that both social discipline and enforcement is needed for business practices, for example, to be predictable. Only with the following of rules (which means elimination of corruption, enforcement of social/civic laws around business and IP, as well as civic sense) will India gain the respect of the global players and be a significant global player going forward. Those in the opposite camp might argue that behavior is driven by necessity, and unless the rules are bent or even broken, one cannot get anywhere in India (literally and figuratively).

(Here the article breaks off for molecular data)
┌──
No. 1
This record from the Open Molecules 2025 dataset describes a single C3H9N3O molecule in a non-equilibrium geometry. The level of theory is wB97M-V/def2-TZVPD.

Summary:
- E_HOMO: -8.1 eV
- Kohn-Sham gap: 0.336 Eh
- SMILES: N/C=C\C(N)(N)O
- Net charge: 0
- LUMO: 0.9994 eV

The geometry in XYZ format:
```
16
C3H9N3O, DFT wB97M-V/def2-TZVPD
N -0.98701 0.17157 2.02090
C -1.52797 0.50622 0.81075
C -0.91352 0.45411 -0.38072
C 0.46560 -0.04215 -0.63338
N 0.90979 -0.99157 0.36038
N 0.59505 -0.55898 -1.95414
O 1.52903 1.08129 -0.46143
H -0.12839 -0.36399 1.95119
H -1.62173 -0.10194 2.75169
H -2.55067 0.86288 0.85602
H -1.43604 0.82737 -1.24565
H 1.93677 -0.91003 0.33469
H 0.61077 -1.92348 0.09421
H 1.57266 -0.71380 -2.17631
H 0.20926 0.07680 -2.64011
H 1.33641 1.62570 0.31191
```

---

No. 2
This record from the Open Molecules 2025 dataset describes 2 unconnected molecules or ions with the total composition C3H9N3O in a non-equilibrium geometry. The level of theory is wB97M-V/def2-TZVPD.

Summary:
- E_HOMO: -9.2 eV
- Kohn-Sham gap: 0.373 Eh
- SMILES: C=N[C@H](N)O.C=N
- Net charge: 0
- LUMO: 0.9341 eV

The geometry in XYZ format:
```
16
C3H9N3O, DFT wB97M-V/def2-TZVPD
C 2.24709 -0.41778 -0.23206
N 1.06600 -0.31799 0.17366
C 0.15784 -1.50164 0.16743
N -1.00799 -1.19615 -0.58854
O -0.15469 -1.76189 1.50151
H 2.69726 -1.36539 -0.54357
H 2.84831 0.47606 -0.35205
H 0.68922 -2.38109 -0.23103
H -1.31955 -0.11698 -0.32063
H -0.83664 -1.30544 -1.58019
H -0.90640 -1.19621 1.72580
C -1.36757 2.53369 -0.03089
N -1.03552 1.37782 0.31490
H -0.67338 3.36804 -0.17556
H -2.42206 2.77146 -0.15290
H 0.01808 1.03350 0.32411
```

---

No. 3
This record from the Open Molecules 2025 dataset describes a molecular structure, C3H9N3O2 in a non-equilibrium geometry. The level of theory is wB97M-V/def2-TZVPD.

Summary:
- E_HOMO: -8.4 eV
- Kohn-Sham gap: 0.322 Eh
- Net charge: 0
- LUMO: 0.3143 eV

The geometry in XYZ format:
```
17
C3H9N3O2, DFT wB97M-V/def2-TZVPD
C 0.12407 1.44946 0.12802
C -0.49952 -0.72700 1.36775
N -0.05865 0.44834 -1.33490
C 0.45058 0.01840 0.42378
N 0.86090 -0.32423 -2.09975
N -0.82773 -2.05717 0.86195
O -1.00891 2.01659 0.59402
O 1.70147 -0.24692 0.49523
H -0.81178 2.85231 1.04695
H -1.03166 0.21936 -1.53040
H 0.95890 2.12112 -0.06366
H 1.72186 -0.45163 -1.55090
H 1.15523 0.20811 -2.91887
H 0.04465 -2.53403 0.63623
H -1.33796 -1.96146 -0.01577
H -0.00918 -0.81841 2.34112
H -1.43225 -0.21282 1.61918
```

---

No. 4
This record from the Open Molecules 2025 dataset describes 2 unconnected molecules or ions with the total composition C3H9N3O3 in a non-equilibrium geometry. The level of theory is wB97M-V/def2-TZVPD.

Summary:
- E_HOMO: -8.6 eV
- Kohn-Sham gap: 0.330 Eh
- SMILES: CN=C(N)N.O=C(O)O
- Net charge: 0
- LUMO: 0.3846 eV

The geometry in XYZ format:
```
18
C3H9N3O3, DFT wB97M-V/def2-TZVPD
C -1.10554 -1.70904 -0.86047
N -1.07582 -0.89842 0.33487
C -0.87591 0.38398 0.24109
N -0.84753 1.16843 -0.87930
N -1.18328 1.14862 1.33331
└──
(So much for the molecular data)

I guess that’s a key ingredient in the definition of developing and developed nations. Developed nations can have rules, and everyone follows them because they can afford to. Developing countries also have rules, but those very rules are not followed because people cannot afford to follow them. I am still struggling with how best to teach my kids. Perhaps the only answer is to tell them what the rules are, that they should be followed. And like my nine year old in Hong Kong, they themselves will learn how to adapt to their surroundings, even if it means doing something that is considered inappropriate.